No. 1
The following is a DFT calculation (PBE) of Cs2NbTlCl6 after structural relaxation.

Values from the calculation:
Crystal system: trigonal
Uncorrected formation energy: -1478 meV/atom
Calculated density: 3.45 Mg/m³

Lattice parameters (Å, degrees): 7.5767 7.5767 45.0662 90.00 90.00 120.00
Space group R-3m (No. 166, hexagonal axes)
Unique sites:
Cs  0.0000  0.0000  0.1380 (multiplicity 6)
Cs  0.0000  0.0000  0.3052 (multiplicity 6)
Nb  0.0000  0.0000  0.0000 (multiplicity 3)
Nb  0.0000  0.0000  0.5000 (multiplicity 3)
Tl  0.0000  0.0000  0.4145 (multiplicity 6)
Cl  0.0205  0.5103  0.1341 (multiplicity 18)
Cl  0.0225  0.5112  0.6990 (multiplicity 18)

No. 2
The following is a DFT calculation (PBE) of TaBePt2 after structural relaxation.

Values from the calculation:
Crystal system: tetragonal
Calculated density: 16.30 Mg/m³
Formation energy from the elements: -10.43 kcal/mol of atoms

Lattice parameters (Å, degrees): 3.860 3.860 7.934 90.00 90.00 90.00
Space group I-4m2 (No. 119)
Unique sites:
Ta  0.000  0.000  0.000 (multiplicity 2)
Be  0.000  0.500  0.750 (multiplicity 2)
Pt  0.000  0.000  0.500 (multiplicity 2)
Pt  0.000  0.500  0.250 (multiplicity 2)

----------

No. 1
The following is a DFT calculation (GGA-PBE) of an optimized crystal structure of MgIrSe2.

Properties
Formation energy from raw total energies   -0.23 eV per atom
Magnetic moment   0.4 μB per cell

a b c (Å): 8.0998 8.0998 8.0998
angles (deg): 26.97 26.97 26.97
Last column: nearest neighbours and their distance in Å.
Element x y z (fractional)
Mg  0.0000  0.0000  0.0000  2 Se 2.65
Ir  0.5000  0.5000  0.5000  6 Se 2.51
Se  0.8867  0.8867  0.8867  3 Ir 2.51, 1 Mg 2.65
Se  0.1133  0.1133  0.1133  3 Ir 2.51, 1 Mg 2.65

No. 2
The following is a DFT calculation (GGA-PBE) of an optimized crystal structure of Er4TmHg5.

Properties
DFT formation energy   -481.6 meV per atom
Magnetic moment   0.0 μB per cell

a b c (Å): 3.6868 3.6868 18.4532
angles (deg): 90.00 90.00 90.00
Last column: nearest neighbours and their distance in Å.
Element x y z (fractional)
Er  0.0000  0.0000  0.1995  8 Hg 3.20
Er  0.0000  0.0000  0.3998  8 Hg 3.19-3.20
Er  0.0000  0.0000  0.6002  8 Hg 3.19-3.20
Er  0.0000  0.0000  0.8005  8 Hg 3.20
Tm  0.0000  0.0000  0.0000  8 Hg 3.18
Hg  0.5000  0.5000  0.0990  4 Tm 3.18, 4 Er 3.20
Hg  0.5000  0.5000  0.2998  8 Er 3.19-3.20
Hg  0.5000  0.5000  0.5000  8 Er 3.20
Hg  0.5000  0.5000  0.7002  8 Er 3.19-3.20
Hg  0.5000  0.5000  0.9010  4 Tm 3.18, 4 Er 3.20
Work out how many lines further above have the word "from" in them; a number is enough.
4